## Data
/*
25
Properties=species:S:1:pos:R:3:lowdin_charge:R:1 method="wB97M-V/def2-TZVPD" charge=+1 homo_lumo_gap_ev=7.72 mol_weight_g_mol=152.2 e_lumo_ev=-5.2
C -1.06 3.07 -0.83 -0.12
O -0.52 2.57 -2.10 -0.23
C 0.43 1.47 -1.91 -0.23
C -0.19 -0.03 -2.27 -0.17
C -1.03 -0.71 -1.04 -0.15
C -0.15 -1.07 0.30 -0.04
C -0.99 -1.80 1.55 0.04
C -0.26 -2.22 2.96 0.03
C 1.35 -1.83 3.10 0.01
C 2.09 -1.12 1.82 0.04
N 1.32 -0.80 0.51 0.06
H -0.36 2.93 0.10 0.09
H -2.09 2.55 -0.59 0.09
H -1.21 4.25 -0.95 0.12
H 1.30 1.64 -2.72 0.14
H 0.98 1.51 -0.86 0.11
H 0.62 -0.77 -2.72 0.13
H -0.96 0.16 -3.16 0.14
H -1.54 -1.71 -1.43 0.14
H -1.91 0.00 -0.72 0.13
H -2.15 -2.05 1.41 0.13
H -0.82 -2.76 3.83 0.12
H 2.00 -2.05 4.06 0.11
H 3.24 -0.85 1.91 0.14
H 1.89 -0.38 -0.25 0.13

=====

*P*
An isolated molecule of C3H7N3O2. Source: the OMol25 dataset; level of theory: ωB97M-V/def2-TZVPD.

Output
**LUMO**: 0.9 eV
**HOMO-LUMO gap**: 9.53 eV
**HOMO level**: -8.645 eV
**Charge**: 0
**SMILES**: CN(/C=N\N)OC=O

Geometry as XYZ:
```
15
C3H7N3O2 | the OMol25 dataset | ωB97M-V/def2-TZVPD
O -0.47 -1.17 0.20
O -2.43 0.09 0.28
N 0.22 0.05 -0.34
N 1.33 0.76 1.53
N 0.13 1.41 1.55
C -1.78 -0.94 0.46
C 0.43 -0.25 -1.81
C 1.47 0.10 0.46
H -0.65 -0.16 -2.15
H 2.34 -0.46 0.19
H 0.95 -1.19 -1.90
H -0.44 1.15 0.70
H 1.06 0.43 -2.19
H -2.16 -2.01 0.80
H 0.01 2.19 2.21
```

*Q*
An isolated molecule of C3H7N3O2. Source: the OMol25 dataset; level of theory: ωB97M-V/def2-TZVPD.

Output
**LUMO**: 1.0 eV
**HOMO-LUMO gap**: 9.38 eV
**HOMO level**: -8.360 eV
**Charge**: 0
**SMILES**: C=NOCO/C=N/N

Geometry as XYZ:
```
15
C3H7N3O2 | the OMol25 dataset | ωB97M-V/def2-TZVPD
O 0.15 0.81 1.64
O -0.07 -1.50 1.01
N -0.41 1.49 -0.46
N -0.09 2.33 -1.53
N -0.44 -1.79 -0.30
C 0.39 1.60 0.55
C 0.35 -2.65 -0.75
C -0.65 -0.32 1.56
H 0.18 -3.04 -1.77
H -0.67 1.96 -2.39
H 1.26 2.28 0.75
H 1.28 -2.88 -0.24
H -1.54 -0.22 0.97
H 0.97 2.53 -1.65
H -0.72 -0.60 2.61
```

*R*
A cluster of 2 separate species, C3H7N3O2 in total. Source: the OMol25 dataset; level of theory: ωB97M-V/def2-TZVPD.

Output
**LUMO**: -0.6 eV
**HOMO-LUMO gap**: 7.97 eV
**HOMO level**: -8.563 eV
**Charge**: 0

Geometry as XYZ:
```
15
C3H7N3O2 | the OMol25 dataset | ωB97M-V/def2-TZVPD
O -2.23 -1.09 0.12
O -0.18 -1.51 -0.28
N 0.72 1.07 -0.69
N 1.72 0.06 -0.62
N -1.36 1.68 0.45
C -1.09 -0.68 -0.02
C 2.31 -0.35 0.78
C -0.43 0.83 0.14
H 3.05 0.49 1.42
H -2.54 1.31 -0.24
H -1.20 2.88 0.12
H 2.90 -1.38 1.01
H 1.42 -0.60 1.55
H 0.52 -0.92 -0.83
H 2.75 0.50 -1.12
```

Q: Which of them is the least stable? A: *R*.

*P*
The ion C7H12N with charge +1. Source: the OMol25 dataset; level of theory: ωB97M-V/def2-TZVPD.

Output
**LUMO**: -6.6 eV
**HOMO-LUMO gap**: 7.33 eV
**HOMO level**: -13.966 eV
**Charge**: +1

Geometry as XYZ:
```
20
C7H12N | the OMol25 dataset | ωB97M-V/def2-TZVPD
N 0.56 0.46 -0.39
C -1.58 0.03 -0.07
C -1.78 1.50 0.14
C -2.68 -0.82 0.25
C 1.88 0.17 -0.25
C 2.33 -1.29 -0.12
C -0.30 -0.51 -0.17
C 2.69 1.30 -0.12
H -1.44 1.75 1.10
H 1.82 -1.91 0.59
H 2.08 2.22 -0.30
H -0.06 -1.56 -0.15
H 2.17 -1.69 -1.19
H -1.10 2.03 -0.56
H -3.08 -0.62 1.31
H -2.78 1.57 -0.27
H -3.61 -0.73 -0.27
H 3.47 -1.38 -0.03
H 3.72 1.29 0.17
H -2.32 -1.82 0.31
```

*Q*
The ion C7H12N with charge +1. Source: the OMol25 dataset; level of theory: ωB97M-V/def2-TZVPD.

Output
**LUMO**: -3.3 eV
**HOMO-LUMO gap**: 8.57 eV
**HOMO level**: -11.874 eV
**Charge**: +1
**SMILES**: C[NH+](C)[C@]12C=C[C@@H]1C2

Geometry as XYZ:
```
20
C7H12N | the OMol25 dataset | ωB97M-V/def2-TZVPD
N 0.95 -0.18 -0.26
C -2.23 0.72 0.53
C -1.06 0.60 1.10
C -1.94 -0.04 -0.73
C -0.39 -0.38 0.14
C 1.38 1.07 -0.92
C 1.82 -0.48 0.90
C -1.39 -1.38 -0.34
H -2.10 0.32 -1.73
H -2.01 -1.86 0.39
H 0.68 1.16 -1.80
H -1.09 -2.10 -1.09
H -3.07 1.43 0.65
H 2.51 0.90 -1.32
H -0.55 1.08 1.94
H 1.26 2.08 -0.32
H 1.81 -1.64 1.12
H 1.37 -0.06 1.91
H 2.94 -0.19 0.70
H 1.12 -1.04 -0.87
```

Q: Which of them is the least stable? A: *Q*.
*/
## Request
Now quote the notes further above from the first line to the one with "0.20" exactly.
## Here it is
25
Properties=species:S:1:pos:R:3:lowdin_charge:R:1 method="wB97M-V/def2-TZVPD" charge=+1 homo_lumo_gap_ev=7.72 mol_weight_g_mol=152.2 e_lumo_ev=-5.2
C -1.06 3.07 -0.83 -0.12
O -0.52 2.57 -2.10 -0.23
C 0.43 1.47 -1.91 -0.23
C -0.19 -0.03 -2.27 -0.17
C -1.03 -0.71 -1.04 -0.15
C -0.15 -1.07 0.30 -0.04
C -0.99 -1.80 1.55 0.04
C -0.26 -2.22 2.96 0.03
C 1.35 -1.83 3.10 0.01
C 2.09 -1.12 1.82 0.04
N 1.32 -0.80 0.51 0.06
H -0.36 2.93 0.10 0.09
H -2.09 2.55 -0.59 0.09
H -1.21 4.25 -0.95 0.12
H 1.30 1.64 -2.72 0.14
H 0.98 1.51 -0.86 0.11
H 0.62 -0.77 -2.72 0.13
H -0.96 0.16 -3.16 0.14
H -1.54 -1.71 -1.43 0.14
H -1.91 0.00 -0.72 0.13
H -2.15 -2.05 1.41 0.13
H -0.82 -2.76 3.83 0.12
H 2.00 -2.05 4.06 0.11
H 3.24 -0.85 1.91 0.14
H 1.89 -0.38 -0.25 0.13

=====

*P*
An isolated molecule of C3H7N3O2. Source: the OMol25 dataset; level of theory: ωB97M-V/def2-TZVPD.

Output
**LUMO**: 0.9 eV
**HOMO-LUMO gap**: 9.53 eV
**HOMO level**: -8.645 eV
**Charge**: 0
**SMILES**: CN(/C=N\N)OC=O

Geometry as XYZ:
```
15
C3H7N3O2 | the OMol25 dataset | ωB97M-V/def2-TZVPD
O -0.47 -1.17 0.20